September 8, 2023
Written by: Deirdre Smith, Ox Hill Associate Director of Landscape & Sustainability – LEED GA, WELL AP Our Team – OxHill Companies
What is a Pocket Park? When I first heard the term, I immediately thought of those Hot Pocket snacks that you heat up in the microwave, pop in your mouth, and promptly burn the roof of your mouth on. I thought it was a joke. Turns out pocket parks are a real thing!
Pocket parks are found in urban areas where space is extremely limited, typically 1 to 3 municipal lots smaller than 1 acre in size. They often originate from blighted or underutilized areas and involve various stakeholders and partnerships to bring the project to fruition.
Smaller in size than large municipal parks that may accommodate playground equipment, pocket parks promote walkability, provide gathering spaces, strengthen community relationships, and are growing in popularity.
Let’s take a brief look at the history and advantages of pocket parks and then examine an example of one Ox Hill is working on bringing to Fairfax City.
The first pocket parks appeared in post-WWII Europe as part of the restoration efforts to rebuild heavily damaged cities. In the U.S., pocket parks appeared during the 1950s, starting with vacant lots in Baltimore, Philadelphia, and Washington, D.C. To this day, Philly leads the pack with over 150 neighborhood parks.
In 1967, Paley Park was opened in New York City and became the first park officially described as a “pocket park.” Highly touted by John Lindsay during his successful mayoral campaign, pocket parks subsequently became forever associated with him.
According to the National Recreation and Park Association, pocket parks provide a safe and inviting environment for surrounding community members that have four key qualities:
The cost to develop a pocket park is relatively low compared to large municipal parks. Even more, pocket parks have also been found to have a beneficial impact on the real estate value of the surrounding area, sparking neighborhood revitalizations.
_Records of molecules that have nothing to do with the entry_
~~~
78
Properties=species:S:1:pos:R:3:mulliken_charge:R:1 method="wB97M-V/def2-TZVPD" e_homo_ev="-22.34 / -22.28" homo_lumo_gap_ev="5.43 / 5.38" energy_ha=-2249.80536 spin_multiplicity=1 total_charge=+4
Ce 0.00 -0.14 0.14 -1.296
P -0.03 -2.56 0.58 0.761
P 0.04 2.12 -0.92 1.436
O 1.02 0.59 2.17 -0.418
O -3.04 0.48 0.93 -0.016
O 3.14 -0.34 -0.43 -0.020
C 1.24 -3.51 -1.82 -1.525
C -2.77 -3.22 0.64 -1.297
C -1.28 3.30 -0.29 0.288
C -1.47 -3.40 1.43 0.189
C 1.36 -4.89 1.53 -1.607
C -1.72 1.51 -3.01 -1.340
C 2.29 3.09 0.54 -1.001
C -1.09 3.63 1.20 -1.613
C -0.32 2.10 -2.76 -0.040
C 1.49 -3.37 1.31 0.587
C -0.12 -3.20 -1.19 -0.036
C 0.76 1.32 -3.52 -1.269
C -1.95 0.20 0.61 0.812
C -1.62 -2.84 2.85 -1.218
C 1.85 4.28 -1.64 -1.572
C -1.54 4.57 -1.11 -1.394
C 0.61 1.46 3.22 -0.448
C -0.80 -2.04 -1.94 -1.001
C 1.98 -0.29 -0.26 0.976
C 1.72 2.95 -0.88 0.256
C -0.78 1.15 3.83 -1.026
C 2.00 -2.65 2.57 -1.228
H -1.73 4.36 -2.16 0.368
H -0.75 -3.07 3.48 0.218
H -2.44 5.07 -0.71 0.453
H 0.77 2.52 2.95 0.452
H 2.98 -3.05 2.85 0.496
H 1.78 3.87 1.11 0.304
H -2.51 -3.28 3.33 0.536
H 1.32 -2.80 3.42 0.330
H 2.35 -5.31 1.76 0.430
H -3.01 -2.16 0.52 0.187
H 0.73 -0.25 2.58 -0.187
H 0.88 0.31 -3.11 0.253
H -0.84 -2.22 -3.02 0.575
H -1.60 1.23 3.10 0.247
H 1.73 1.82 -3.48 0.310
H 3.35 3.35 0.48 0.530
H -1.91 1.46 -4.09 0.547
H 1.92 -2.65 -1.74 0.297
H -1.80 0.50 -2.60 0.201
H -2.50 2.12 -2.55 0.317
H 1.43 4.24 -2.65 0.353
H 1.34 1.33 4.05 0.398
H -0.20 -1.90 -5.34 0.042
H -2.73 -3.69 -0.34 0.378
H -1.24 -4.47 1.48 0.725
H 0.47 1.22 -4.58 0.538
H -0.79 0.12 4.24 0.380
H 2.24 -3.19 0.52 0.624
H -0.85 2.74 1.79 0.096
H 1.36 5.10 -1.10 0.382
H -0.29 4.36 1.34 0.359
H -0.75 -4.10 -1.24 0.780
H -1.74 -1.76 2.83 0.227
H -2.17 2.66 -0.37 0.366
H 2.09 -1.58 2.40 0.287
H 0.70 -5.11 2.37 0.435
H -0.17 -1.12 -1.86 -0.063
H -3.60 -3.68 1.20 0.523
H -0.71 5.28 -1.04 0.294
H 2.20 2.15 1.10 -0.107
H 1.11 -3.74 -2.88 0.491
H 0.98 -5.40 0.64 0.397
H -0.98 1.85 4.66 0.468
H -1.81 -1.84 -1.58 0.338
H -2.02 4.07 1.59 0.539
H 2.91 4.54 -1.73 0.459
H -0.31 3.14 -3.11 0.566
H -0.19 -1.18 -5.53 0.009
H 1.73 -4.37 -1.35 0.408
H 2.32 2.20 -1.39 0.504

* * * * *

[1]
This record from the OMol25 dataset describes a 3-piece molecular cluster, C4H15NO2 overall. The level of theory is ωB97M-V with the def2-TZVPD basis set.

Last column: natural (NBO) charge in e.
Atoms and positions in Å:
C -0.789 1.304 -2.638  -0.61
C 0.472 1.404 -1.725  -0.43
C 0.859 0.174 -0.928  -0.21
N 0.525 0.063 0.455  -0.64
C 0.653 -1.485 0.817  -0.43
H -0.702 0.530 -3.347  0.20
H -1.040 2.146 -3.297  0.22
H -1.737 1.072 -2.038  0.20
H 0.313 2.138 -0.893  0.21
H 1.380 1.740 -2.333  0.22
H 1.950 0.020 -0.974  0.19
H 0.334 -0.792 -1.436  0.13
H -0.465 0.302 0.469  0.35
H 1.649 -1.723 0.814  0.20
H -0.005 -2.035 0.112  0.19
H 0.152 -1.742 1.777  0.21
O 2.155 0.202 3.317  -0.97
H 1.663 0.171 2.395  0.50
H 2.211 -0.746 3.630  0.46
O -2.983 -1.170 1.838  -0.98
H -3.758 -0.899 1.299  0.49
H -2.838 -0.672 2.686  0.49
~~~
The environmental benefits of pocket parks are enormous. Pocket parks can mitigate heat island effects, aid in stormwater management, and attract and provide habitat for urban wildlife, especially birds and pollinators. Also, because they are located within neighborhoods and often lack any parking options, more often visitors arrive on foot thereby reducing pollution.
In terms of human health and well-being, people of all ages and abilities can enjoy pocket parks. According to a Northwestern Medicine report published in Science Advances, more green spaces were associated with slower biological aging. In fact, people who lived near more green spaces were biologically 2.5 years younger, on average, than those who did not. In addition, “People living in proximity to open spaces report fewer health and social problems,” says Stephen R. Kellert, author of Biophilic Design. “Even the presence of limited amounts of vegetation such as grass and a few trees has been correlated with enhanced coping and adaptive behavior.”
Ox Hill Companies is taking the pocket park model and incorporating it into our City Centre West mixed-used project in Fairfax, VA. The Corner Public Plaza Park is an approximately 1/3-acre Fairfax County-owned parcel located at the corner of Main and West Streets. It is currently overgrown with undesirable trees and shrubs, and is largely unused.
We envision a fully activated space which will become a wonderful amenity for residents, visitors, and employees at the nearby Fairfax County Judicial Complex. The open lawn, large central plaza covered by a pergola, and trees will help mitigate the heat island effect. And bike racks are in place at both the north and south ends of the proposed park for ease of accessibility.
Sustainability plays a role in the landscaping of the proposed Corner Public Corner Plaza. Native plant species have been selected to provide habitats for birds, butterflies, and other pollinators. Native plants are typically hardier and more drought tolerant to withstand the conditions that a public space will warrant. They also enhance the area’s aesthetics with beautiful local flora.
The future of pocket parks seems clear; they have an important role to play in the future of urban areas. Given that space is already at a premium in cities and suburbia, the ability to convert overgrown and unutilized spaces into beautiful and activated pocket parks is a very reasonable approach. By creating these small green spaces, Ox Hill Companies is able to improve the human experience as well as the environment at the same time.